Europe sees surge in terror-related arrests among refugees
Unrelated to this text: data records >
No. 1
The following is a PBE-GGA calculation of a relaxed La2MgS4 crystal, from the Materials Project.

Values from the calculation:
polymorph energy (0 for the lowest one): 0.075 eV/atom
DFT formation energy: -2.1335 eV/atom

Cell: 13.2479 4.0421 14.1428 Å, 90.00 90.00 90.00°
Space group Pnma (No. 62)
Inequivalent atoms, fractional coordinates:
La 0.1243 0.2500 0.0755 [4 per cell]
La 0.1282 0.2500 0.7100 [4 per cell]
Mg 0.1046 0.7500 0.4650 [4 per cell]
S 0.0010 0.2500 0.3868 [4 per cell]
S 0.0225 0.2500 0.8889 [4 per cell]
S 0.2268 0.2500 0.5187 [4 per cell]
S 0.2344 0.2500 0.2457 [4 per cell]

No. 2
The following is a PBE-GGA calculation of a relaxed Zr3Pt crystal, from the Materials Project.

Values from the calculation:
DFT formation energy: -0.4066 eV/atom

Cell: 6.0810 6.0810 5.1306 Å, 90.00 90.00 120.00°
Space group P6_3/mmc (No. 194)
Inequivalent atoms, fractional coordinates:
Zr 0.1730 0.3461 0.2500 [6 per cell]
Pt 0.3333 0.6667 0.7500 [2 per cell]

No. 3
The following is a PBE-GGA calculation of a relaxed MgSi2 crystal, from the Materials Project.

Values from the calculation:
polymorph energy (0 for the lowest one): 0.080 eV/atom
DFT formation energy: 0.1574 eV/atom

Cell: 10.1021 3.8051 12.3545 Å, 90.00 109.05 90.00°
Space group C2/m (No. 12)
Inequivalent atoms, fractional coordinates:
Mg 0.1304 0.0000 0.1704 [4 per cell]
Mg 0.1791 0.5000 0.3884 [4 per cell]
Si 0.0450 0.0000 0.6842 [4 per cell]
Si 0.0929 0.5000 0.9613 [4 per cell]
Si 0.1038 0.5000 0.5873 [4 per cell]
Si 0.1800 0.0000 0.8814 [4 per cell]

No. 4
The following is a PBE-GGA calculation of a relaxed AgSnF6 crystal, from the Materials Project.

Values from the calculation:
polymorph energy (0 for the lowest one): 0.000 eV/atom
DFT formation energy: -2.2662 eV/atom

Cell: 5.3297 5.4673 5.7471 Å, 64.10 89.46 61.46°
Space group P-1 (No. 2)
Inequivalent atoms, fractional coordinates:
Ag 0.0000 0.0000 0.0000 [1 per cell]
Sn 0.5000 0.0000 0.5000 [1 per cell]
F 0.1295 0.1284 0.2615 [2 per cell]
F 0.2549 0.1440 0.7396 [2 per cell]
F 0.4223 0.4335 0.2802 [2 per cell]

No. 5
The following is a PBE-GGA calculation of a relaxed CaMg2Sb2 crystal, from the Materials Project.

Values from the calculation:
DFT formation energy: -0.7876 eV/atom

Cell: 4.6931 4.6931 7.5863 Å, 90.00 90.00 120.00°
Space group P-3m1 (No. 164)
Inequivalent atoms, fractional coordinates:
Ca 0.0000 0.0000 0.0000 [1 per cell]
Mg 0.3333 0.6667 0.3688 [2 per cell]
Sb 0.3333 0.6667 0.7558 [2 per cell]

No. 6
The following is a PBE-GGA calculation of a relaxed TlInSe2 crystal, from the Materials Project.

Values from the calculation:
DFT formation energy: -0.4269 eV/atom

Cell: 8.1450 8.1450 7.0968 Å, 90.00 90.00 90.00°
Space group I4/mcm (No. 140)
Inequivalent atoms, fractional coordinates:
Tl 0.0000 0.5000 0.2500 [4 per cell]
In 0.0000 0.0000 0.2500 [4 per cell]
Se 0.1808 0.3192 0.0000 [8 per cell]

No. 7
The following is a PBE-GGA calculation of a relaxed Ba2LuB2ClO6 crystal, from the Materials Project.
The data records stop here >

Several European countries are seeing a spike in the number of people arrested for planning terror attacks – and there is concern that it's the EU's insufficient background checks on asylum-seekers which are to blame.
== Between two parts of the page: calculated crystals ==
/*
Run one
S after structural relaxation. Source: the Materials Project, functional r²SCAN.

Values from the calculation:
As for the mass density: 1.9 Mg/m³.

Cell: 4.811 9.269 14.909 Å, 90.00 90.00 90.00°
Positions (direct):
S  0.008  0.312  0.888
S  0.500  0.500  0.276
S  0.226  0.731  0.000
S  0.992  0.688  0.112
S  0.767  0.869  0.858
S  0.492  0.812  0.612
S  0.267  0.631  0.642
S  0.500  0.500  0.724
S  0.508  0.188  0.388
S  0.492  0.812  0.388
S  0.267  0.631  0.358
S  0.733  0.369  0.358
S  0.274  0.231  0.500
S  0.000  0.000  0.224
S  0.000  0.000  0.776
S  0.233  0.131  0.142
S  0.508  0.188  0.612
S  0.992  0.688  0.888
S  0.233  0.131  0.858
S  0.733  0.369  0.642
S  0.726  0.769  0.500
S  0.767  0.869  0.142
S  0.008  0.312  0.112
S  0.774  0.269  0.000

Run two
S after structural relaxation. Source: the Materials Project, functional r²SCAN.

Values from the calculation:
As for the mass density: 2.0 Mg/m³.

Cell: 9.035 9.712 11.032 Å, 116.12 99.61 90.00°
Positions (direct):
S  0.150  0.039  0.913
S  0.297  0.411  0.922
S  0.032  0.761  0.396
S  0.068  0.556  0.240
S  0.254  0.461  0.295
S  0.316  0.450  0.595
S  0.432  0.815  0.760
S  0.684  0.550  0.405
S  0.754  0.334  0.295
S  0.568  0.185  0.240
S  0.746  0.539  0.705
S  0.350  0.626  0.087
S  0.203  0.989  0.078
S  0.530  0.714  0.042
S  0.850  0.961  0.087
S  0.932  0.444  0.760
S  0.970  0.171  0.958
S  0.650  0.374  0.913
S  0.246  0.666  0.705
S  0.703  0.589  0.078
S  0.687  0.979  0.403
S  0.816  0.645  0.595
S  0.030  0.829  0.042
S  0.184  0.355  0.405
S  0.313  0.021  0.597
S  0.797  0.011  0.922
S  0.532  0.134  0.396
S  0.813  0.076  0.597
S  0.470  0.286  0.958
S  0.468  0.866  0.604
S  0.968  0.239  0.604
S  0.187  0.924  0.403

Which of them is most stable? Easy: run one.

Run one
S after structural relaxation. Source: the Materials Project, functional r²SCAN.

Values from the calculation:
As for the mass density: 1.9 Mg/m³.

Cell: 7.410 10.808 12.416 Å, 92.55 90.00 90.00°
Positions (direct):
S  0.482  0.712  0.563
S  0.415  0.307  0.590
S  0.511  0.984  0.336
S  0.018  0.212  0.063
S  0.989  0.484  0.836
S  0.064  0.302  0.812
S  0.940  0.816  0.649
S  0.267  0.989  0.758
S  0.440  0.684  0.851
S  0.250  0.109  0.069
S  0.585  0.693  0.410
S  0.915  0.193  0.910
S  0.044  0.991  0.658
S  0.564  0.198  0.688
S  0.544  0.782  0.983
S  0.456  0.491  0.158
S  0.085  0.807  0.090
S  0.750  0.891  0.931
S  0.560  0.316  0.149
S  0.750  0.391  0.431
S  0.011  0.516  0.164
S  0.436  0.802  0.312
S  0.518  0.288  0.437
S  0.456  0.218  0.017
S  0.489  0.016  0.664
S  0.060  0.184  0.351
S  0.956  0.009  0.342
S  0.733  0.011  0.242
S  0.233  0.489  0.258
S  0.936  0.698  0.188
S  0.250  0.609  0.569
S  0.767  0.511  0.742
S  0.044  0.718  0.517
S  0.982  0.788  0.937
S  0.544  0.509  0.842
S  0.956  0.282  0.483

Run two
S after structural relaxation. Source: the Materials Project, functional r²SCAN.

Values from the calculation:
As for the mass density: 1.9 Mg/m³.
*/
== So much for the calculated crystals ==
Like many other small European towns, Neukirchen in Southern Austria seems quiet and peaceful.Meanwhile, one of its residents is now under arrest, suspected of being the mastermind behind an Islamic network recruiting extremists and plotting attacks in the heartland of the EU.An ethnic Chechen, Aslambek was detained at the airport in Vienna as he returned from a pilgrimage to Mecca. News about the incident went around the world, although strangely none of the local residents seem to know much about it. Some didn't want to be filmed at all. But was it really because of the lack of information?The deputy chief of one of Austria's largest newspapers, Christoph Budin, has been personally following this case. “Just one word – they are frightened,” he says.Without a TV crew and armed only with a voice recorder, he was more successful in getting residents to share their thoughts.“In some southern cities we have a really big community of Chechens, so the people are thinking – what comes next?” journalist Christoph Budin says. “I mean – this is my neighbour, he was living beside me and now he's arrested because of a suspected terror plot.”With his wife and children, Aslambek really appeared to be living an ordinary life. One of the most striking facts about this case is that the suspect has no hands. He claims he lost them after being caught up in violence in Chechnya. However, investigators are now looking into a different version – that his hands were blown off while handling explosives. And this is raising questions among Austrians over how well asylum seekers are checked before getting the green light to enter the country.Austria has one of the most liberal asylum policies in the EU. Last year alone the country received over 15,000 refugees from across the world. With such an inflow of newcomers, it's becoming increasingly hard to find out who is who.“We want to know from the government in how many cases they actually did these background checks to make sure that these people are not criminals or dangerous,” says Christian Ebner, MP from the Alliance for the Future of Austria. “Second, in how many cases has Austria received information on these refugees from their countries of origin? And third, in how many cases have asylum seekers actually been refused?”The latest arrest is part of a massive police operation targeting an alleged extremist network. In late November, 26 people were detained in Belgium, Germany and the Netherlands, all suspected of recruiting so-called Jihadist candidates and financing terrorist organizations. “It can be here in Neukirchen and it can be in any other town in Europe,” says Neukirchen Vice Major Martin Fasan.In an effort to get more information on asylum seekers, the EU is now reaching agreements with their countries of origin, including Russia.But many experts warn that with hundreds of thousands of refugees already living in the union, the consequences of liberal asylum policies of some of its member states still lie ahead.